Filter the entries further down: keep the lines with the word "with".

=====
(1)
Below is a relaxed DyTlHgBr6 crystal, with properties calculated at the PBE level.

Output
ΔE_f (raw)	-1.161	eV/atom
E_tot	-3.0840	eV/atom
total magnetic moment	0.00	μB per formula unit
DOS(E_F)	0.00	states/eV per cell

abc: 7.344 7.344 14.578
angles: 90.00 90.00 120.00
Positions (direct):
Br: 0.995 0.368 0.137
Br: 0.632 0.005 0.363
Br: 0.627 0.995 0.863
Hg: 0.667 0.333 0.750
Br: 0.368 0.995 0.637
Tl: 0.000 0.000 0.000
Br: 0.368 0.373 0.863
Tl: 0.000 0.000 0.500
Br: 0.005 0.373 0.637
Br: 0.373 0.005 0.137
Br: 0.005 0.632 0.863
Dy: 0.667 0.333 0.250
Hg: 0.333 0.667 0.250
Br: 0.373 0.368 0.363
Br: 0.632 0.627 0.137
Dy: 0.333 0.667 0.750
Br: 0.995 0.627 0.363
Br: 0.627 0.632 0.637

(2)
Below is a relaxed TaCu2Hg crystal, with properties calculated at the PBE level.

Output
E_tot	-4.6354	eV/atom
total magnetic moment	0.00	μB per formula unit
formation energy from the elements	0.4513	eV per atom
DOS(E_F)	3.32	states/eV per cell

abc: 2.852 4.981 4.646
angles: 90.00 90.00 90.00
Positions (direct):
Ta: 0.000 0.500 0.500
Hg: 0.500 0.000 0.500
Cu: 0.500 0.500 0.000
Cu: 0.000 0.000 0.000

(3)
Below is a relaxed SrErCu2Si2 crystal, with properties calculated at the PBE level.

Output
ΔE_f (raw)	-0.508	eV/atom
E_tot	-4.7222	eV/atom
total magnetic moment	0.00	μB per formula unit
DOS(E_F)	4.35	states/eV per cell

abc: 4.237 4.237 7.825
angles: 90.00 90.00 120.00
Positions (direct):
Si: 0.667 0.333 0.712
Er: 0.000 0.000 0.500
Cu: 0.667 0.333 0.294
Sr: 0.000 0.000 0.000
Si: 0.333 0.667 0.288
Cu: 0.333 0.667 0.706

(4)
Below is a relaxed BaGaAuS3 crystal, with properties calculated at the PBE level.

Output
ΔE_f (raw)	-0.951	eV/atom
E_tot	-4.3854	eV/atom
total magnetic moment	0.00	μB per formula unit

abc: 7.176 7.176 7.866
angles: 69.46 69.46 59.52
Positions (direct):
Ba: 0.296 0.296 0.226
Ga: 0.964 0.964 0.239
S: 0.224 0.224 0.663
Au: 0.718 0.282 0.500
S: 0.666 0.186 0.825
S: 0.776 0.776 0.337
S: 0.186 0.666 0.825
Ba: 0.704 0.704 0.774
S: 0.334 0.814 0.175
S: 0.814 0.334 0.175
Au: 0.282 0.718 0.500
Ga: 0.036 0.036 0.761

(5)
Below is a relaxed NdSm2Ir crystal, with properties calculated at the PBE level.

Output
E above lowest polymorph	164	meV per atom
E_tot	-6.0799	eV/atom
total magnetic moment	0.00	μB per formula unit
formation energy from the elements	-0.3131	eV per atom
DOS(E_F)	4.97	states/eV per cell

abc: 3.574 3.574 9.021
angles: 90.00 90.00 90.00
Positions (direct):
Nd: 0.500 0.500 0.500
Sm: 0.000 0.000 0.183
Ir: 0.500 0.500 0.000
Sm: 0.000 0.000 0.817

(6)
Below is a relaxed NaBiAu3 crystal, with properties calculated at the PBE level.

Output
E above lowest polymorph	321	meV per atom
E_tot	-2.8353	eV/atom
total magnetic moment	0.00	μB per formula unit
formation energy from the elements	0.1711	eV per atom
DOS(E_F)	1.23	states/eV per cell

abc: 5.489 5.489 5.489
angles: 90.00 90.00 90.00
Positions (direct):
Au: 0.000 0.000 0.500
Na: 0.500 0.500 0.500
Bi: 0.000 0.000 0.000
Au: 0.500 0.000 0.000
Au: 0.000 0.500 0.000

(7)
Below is a relaxed GdLu2Sc crystal, with properties calculated at the PBE level.

Output
E above lowest polymorph	80	meV per atom
E_tot	-7.2361	eV/atom
total magnetic moment	8.01	μB per formula unit
formation energy from the elements	0.1275	eV per atom
DOS(E_F)	9.07	states/eV per cell

abc: 5.482 5.482 5.482
angles: 60.00 60.00 60.00
Positions (direct):
Sc: 0.500 0.500 0.500
Gd: 0.000 0.000 0.000
Lu: 0.250 0.250 0.250
Lu: 0.750 0.750 0.750

(8)
Below is a relaxed AlZn2Cl crystal, with properties calculated at the PBE level.

Output
ΔE_f (raw)	-0.052	eV/atom
E above lowest polymorph	93	meV per atom
E_tot	-2.0862	eV/atom
total magnetic moment	0.00	μB per formula unit
DOS(E_F)	0.57	states/eV per cell

abc: 3.214 3.214 7.233
angles: 90.00 90.00 99.01
Positions (direct):
Al: 0.500 0.500 0.250
Zn: 0.000 0.000 0.480
Cl: 0.500 0.500 0.750
Zn: 0.000 0.000 0.020

(9)
Below is a relaxed SrCoOs4 crystal, with properties calculated at the PBE level.

Output
E_tot	-8.1612	eV/atom
=====

Below is a relaxed DyTlHgBr6 crystal, with properties calculated at the PBE level.
Below is a relaxed TaCu2Hg crystal, with properties calculated at the PBE level.
Below is a relaxed SrErCu2Si2 crystal, with properties calculated at the PBE level.
Below is a relaxed BaGaAuS3 crystal, with properties calculated at the PBE level.
Below is a relaxed NdSm2Ir crystal, with properties calculated at the PBE level.
Below is a relaxed NaBiAu3 crystal, with properties calculated at the PBE level.
Below is a relaxed GdLu2Sc crystal, with properties calculated at the PBE level.
Below is a relaxed AlZn2Cl crystal, with properties calculated at the PBE level.
Below is a relaxed SrCoOs4 crystal, with properties calculated at the PBE level.